**File:**
____________
Ca3MnF6: calculated powder X-ray diffraction pattern (Cu Kα (weighted mean of Kα1 and Kα2)), based on DFT lattice parameters and positions (PBE+U).

Structure:
```
data_Ca3MnF6
_cell_length_a 4.757
_cell_length_b 6.845
_cell_length_c 6.911
_cell_angle_alpha 119.48
_cell_angle_beta 90.38
_cell_angle_gamma 94.18
_space_group_name_H-M_alt 'P 1'
_space_group_IT_number 1
_space_group_name_Hall 'P 1'
loop_
_atom_site_label
_atom_site_type_symbol
_atom_site_fract_x
_atom_site_fract_y
_atom_site_fract_z
Ca1 Ca 0.000 0.000 0.000
Ca2 Ca 0.000 0.000 0.500
Ca3 Ca 0.500 0.500 0.000
Mn1 Mn 0.000 0.500 0.500
F1 F 0.198 0.835 0.668
F2 F 0.217 0.356 0.180
F3 F 0.233 0.346 0.668
F4 F 0.767 0.654 0.332
F5 F 0.783 0.644 0.820
F6 F 0.802 0.165 0.332
```

Main lines, low angle first (10 to 90 degrees two-theta):
Position (°2θ), I (rel.)
18.7, 100
23.0, 41
23.3, 70
23.6, 71
30.1, 62
34.6, 43
35.0, 40
37.1, 40
48.2, 41
53.0, 58

----------

Computed powder X-ray diffraction pattern of UTe2 for copper Kα, from DFT lattice parameters and positions (GGA-PBE).
Peak positions follow from Bragg's law for the DFT cell and can differ from measured ones.

Atomic structure:
```
data_UTe2
_cell_length_a 7.3172
_cell_length_b 8.3478
_cell_length_c 6.1054
_cell_angle_alpha 90.00
_cell_angle_beta 90.00
_cell_angle_gamma 90.00
_symmetry_space_group_name_H-M 'P b c m'
_symmetry_Int_Tables_number 57
_symmetry_space_group_name_Hall '-P 2c 2b'
loop_
_atom_site_label
_atom_site_type_symbol
_atom_site_fract_x
_atom_site_fract_y
_atom_site_fract_z
U1 U 0.2336 0.0635 0.2500
Te1 Te 0.0910 0.7500 0.0000
Te2 Te 0.3836 0.0952 0.7500
```

Main lines, by intensity (2θ from 10° to 90°):
hkl 1 3 0, 2θ 34.48, intensity 100.0; hkl 1 1 1, 2θ 21.74, intensity 92.9; hkl 3 1 1, 2θ 41.30, intensity 76.2; hkl 0 2 2, 2θ 36.46, intensity 72.1; hkl 1 1 2, 2θ 33.57, intensity 67.9; hkl 2 0 2, 2θ 38.42, intensity 52.7; hkl 2 1 1, 2θ 30.43, intensity 45.5; hkl 2 1 0, 2θ 26.60, intensity 41.7; hkl 2 2 1, 2θ 35.80, intensity 41.6; hkl 2 2 0, 2θ 32.54, intensity 37.0; hkl 1 3 2, 2θ 45.83, intensity 36.0; hkl 2 4 1, 2θ 52.66, intensity 35.6



Computed powder X-ray diffraction pattern of PaGa3Ni for copper Kα, from DFT lattice parameters and positions (GGA-PBE).
Peak positions follow from Bragg's law for the DFT cell and can differ from measured ones.

Atomic structure:
```
data_PaGa3Ni
_cell_length_a 4.1994
_cell_length_b 4.1994
_cell_length_c 9.9530
_cell_angle_alpha 90.00
_cell_angle_beta 90.00
_cell_angle_gamma 90.00
_symmetry_space_group_name_H-M 'I 4 m m'
_symmetry_Int_Tables_number 107
_symmetry_space_group_name_Hall 'I 4 -2'
loop_
_atom_site_label
_atom_site_type_symbol
_atom_site_fract_x
_atom_site_fract_y
_atom_site_fract_z
Pa1 Pa 0.0000 0.0000 0.0000
Ga1 Ga 0.0000 0.0000 0.5856
Ga2 Ga 0.0000 0.5000 0.2471
Ni1 Ni 0.0000 0.0000 0.3569
```

Main lines, by intensity (2θ from 10° to 90°):
hkl 1 1 2, 2θ 35.19, intensity 100.0; hkl 1 0 3, 2θ 34.45, intensity 58.1; hkl 2 0 0, 2θ 43.08, intensity 48.3; hkl 2 1 3, 2θ 56.29, intensity 28.8; hkl 1 0 1, 2θ 22.99, intensity 27.3; hkl 1 0 5, 2θ 50.76, intensity 23.7; hkl 3 1 2, 2θ 73.86, intensity 23.3; hkl 1 1 0, 2θ 30.10, intensity 23.0; hkl 2 1 5, 2θ 68.71, intensity 19.1; hkl 2 2 0, 2θ 62.56, intensity 15.7; hkl 2 0 4, 2θ 57.42, intensity 13.1; hkl 1 1 6, 2θ 64.33, intensity 13.1



Computed powder X-ray diffraction pattern of Ca4LaCd for copper Kα, from DFT lattice parameters and positions (GGA-PBE).
Peak positions follow from Bragg's law for the DFT cell and can differ from measured ones.

Atomic structure:
```
data_Ca4LaCd
_cell_length_a 9.7914
_cell_length_b 9.7914
_cell_length_c 9.7914
_cell_angle_alpha 90.00
_cell_angle_beta 90.00
_cell_angle_gamma 90.00
_symmetry_space_group_name_H-M 'F -4 3 m'
_symmetry_Int_Tables_number 216
_symmetry_space_group_name_Hall 'F -4 2 3'
loop_
_atom_site_label
_atom_site_type_symbol
_atom_site_fract_x
_atom_site_fract_y
_atom_site_fract_z
Ca1 Ca 0.1250 0.1250 0.1250
La1 La 0.0000 0.0000 0.5000
____________

**Wanted:**
The reader should quote all of the listing above character by character.

**Here it is:**
Ca3MnF6: calculated powder X-ray diffraction pattern (Cu Kα (weighted mean of Kα1 and Kα2)), based on DFT lattice parameters and positions (PBE+U).

Structure:
```
data_Ca3MnF6
_cell_length_a 4.757
_cell_length_b 6.845
_cell_length_c 6.911
_cell_angle_alpha 119.48
_cell_angle_beta 90.38
_cell_angle_gamma 94.18
_space_group_name_H-M_alt 'P 1'
_space_group_IT_number 1
_space_group_name_Hall 'P 1'
loop_
_atom_site_label
_atom_site_type_symbol
_atom_site_fract_x
_atom_site_fract_y
_atom_site_fract_z
Ca1 Ca 0.000 0.000 0.000
Ca2 Ca 0.000 0.000 0.500
Ca3 Ca 0.500 0.500 0.000
Mn1 Mn 0.000 0.500 0.500
F1 F 0.198 0.835 0.668
F2 F 0.217 0.356 0.180
F3 F 0.233 0.346 0.668
F4 F 0.767 0.654 0.332
F5 F 0.783 0.644 0.820
F6 F 0.802 0.165 0.332
```

Main lines, low angle first (10 to 90 degrees two-theta):
Position (°2θ), I (rel.)
18.7, 100
23.0, 41
23.3, 70
23.6, 71
30.1, 62
34.6, 43
35.0, 40
37.1, 40
48.2, 41
53.0, 58

----------

Computed powder X-ray diffraction pattern of UTe2 for copper Kα, from DFT lattice parameters and positions (GGA-PBE).
Peak positions follow from Bragg's law for the DFT cell and can differ from measured ones.

Atomic structure:
```
data_UTe2
_cell_length_a 7.3172
_cell_length_b 8.3478
_cell_length_c 6.1054
_cell_angle_alpha 90.00
_cell_angle_beta 90.00
_cell_angle_gamma 90.00
_symmetry_space_group_name_H-M 'P b c m'
_symmetry_Int_Tables_number 57
_symmetry_space_group_name_Hall '-P 2c 2b'
loop_
_atom_site_label
_atom_site_type_symbol
_atom_site_fract_x
_atom_site_fract_y
_atom_site_fract_z
U1 U 0.2336 0.0635 0.2500
Te1 Te 0.0910 0.7500 0.0000
Te2 Te 0.3836 0.0952 0.7500
```

Main lines, by intensity (2θ from 10° to 90°):
hkl 1 3 0, 2θ 34.48, intensity 100.0; hkl 1 1 1, 2θ 21.74, intensity 92.9; hkl 3 1 1, 2θ 41.30, intensity 76.2; hkl 0 2 2, 2θ 36.46, intensity 72.1; hkl 1 1 2, 2θ 33.57, intensity 67.9; hkl 2 0 2, 2θ 38.42, intensity 52.7; hkl 2 1 1, 2θ 30.43, intensity 45.5; hkl 2 1 0, 2θ 26.60, intensity 41.7; hkl 2 2 1, 2θ 35.80, intensity 41.6; hkl 2 2 0, 2θ 32.54, intensity 37.0; hkl 1 3 2, 2θ 45.83, intensity 36.0; hkl 2 4 1, 2θ 52.66, intensity 35.6



Computed powder X-ray diffraction pattern of PaGa3Ni for copper Kα, from DFT lattice parameters and positions (GGA-PBE).
Peak positions follow from Bragg's law for the DFT cell and can differ from measured ones.

Atomic structure:
```
data_PaGa3Ni
_cell_length_a 4.1994
_cell_length_b 4.1994
_cell_length_c 9.9530
_cell_angle_alpha 90.00
_cell_angle_beta 90.00
_cell_angle_gamma 90.00
_symmetry_space_group_name_H-M 'I 4 m m'
_symmetry_Int_Tables_number 107
_symmetry_space_group_name_Hall 'I 4 -2'
loop_
_atom_site_label
_atom_site_type_symbol
_atom_site_fract_x
_atom_site_fract_y
_atom_site_fract_z
Pa1 Pa 0.0000 0.0000 0.0000
Ga1 Ga 0.0000 0.0000 0.5856
Ga2 Ga 0.0000 0.5000 0.2471
Ni1 Ni 0.0000 0.0000 0.3569
```

Main lines, by intensity (2θ from 10° to 90°):
hkl 1 1 2, 2θ 35.19, intensity 100.0; hkl 1 0 3, 2θ 34.45, intensity 58.1; hkl 2 0 0, 2θ 43.08, intensity 48.3; hkl 2 1 3, 2θ 56.29, intensity 28.8; hkl 1 0 1, 2θ 22.99, intensity 27.3; hkl 1 0 5, 2θ 50.76, intensity 23.7; hkl 3 1 2, 2θ 73.86, intensity 23.3; hkl 1 1 0, 2θ 30.10, intensity 23.0; hkl 2 1 5, 2θ 68.71, intensity 19.1; hkl 2 2 0, 2θ 62.56, intensity 15.7; hkl 2 0 4, 2θ 57.42, intensity 13.1; hkl 1 1 6, 2θ 64.33, intensity 13.1



Computed powder X-ray diffraction pattern of Ca4LaCd for copper Kα, from DFT lattice parameters and positions (GGA-PBE).
Peak positions follow from Bragg's law for the DFT cell and can differ from measured ones.

Atomic structure:
```
data_Ca4LaCd
_cell_length_a 9.7914
_cell_length_b 9.7914
_cell_length_c 9.7914
_cell_angle_alpha 90.00
_cell_angle_beta 90.00
_cell_angle_gamma 90.00
_symmetry_space_group_name_H-M 'F -4 3 m'
_symmetry_Int_Tables_number 216
_symmetry_space_group_name_Hall 'F -4 2 3'
loop_
_atom_site_label
_atom_site_type_symbol
_atom_site_fract_x
_atom_site_fract_y
_atom_site_fract_z
Ca1 Ca 0.1250 0.1250 0.1250
La1 La 0.0000 0.0000 0.5000